• Job:
Your job: work out how many lines further down have the word "gap_ev" in them; a number is enough.

• Data:
........
25
Properties=species:S:1:pos:R:3:forces:R:3 method="wB97M-V/def2-TZVPD" homo_ev=-9.06 total_charge=0 fmax_ha_per_bohr=0.0235 smiles="CNCCNC(N)=O.O.O" gap_ev=9.55
C -1.067 -2.490 -1.760 0.99 0.31 -0.62
N -1.016 -1.027 -1.853 -0.76 -0.12 0.79
C 0.286 -0.416 -1.641 0.52 -0.06 -0.74
C 0.187 0.895 -0.865 -0.09 0.46 0.62
N 0.694 0.825 0.502 -0.31 -0.10 -0.29
C 2.003 0.709 0.873 -0.18 0.26 0.29
N 2.898 0.800 -0.151 0.46 -0.05 -0.56
O 2.336 0.554 2.041 -0.05 -0.21 -0.08
H -0.165 -2.880 -1.286 0.04 -0.03 0.44
H -1.929 -2.816 -1.189 -0.20 -0.14 -0.23
H -1.013 -2.921 -2.763 -0.54 -0.15 0.04
H -1.709 -0.659 -1.200 0.44 0.05 -0.27
H 0.784 -0.266 -2.614 -0.28 0.19 0.06
H 0.983 -1.090 -1.131 -0.15 -0.02 0.35
H 0.613 1.785 -1.342 0.28 -0.37 -0.30
H -0.861 1.192 -0.782 -0.08 -0.12 0.00
H 0.040 0.666 1.248 0.03 0.24 0.22
H 3.877 0.666 0.047 -0.27 0.19 0.16
H 2.651 1.223 -1.032 0.05 -0.19 0.18
O -0.676 1.172 3.400 -0.51 0.02 -0.24
H 0.255 1.378 3.555 0.00 -0.50 -0.07
H -0.816 0.217 3.446 0.59 0.24 0.27
O -3.108 0.945 1.345 -0.08 -0.23 -0.62
H -2.898 0.975 2.281 0.39 0.06 0.01
H -2.352 0.560 0.872 -0.31 0.24 0.59

115
Properties=species:S:1:pos:R:3:forces:R:3 method="wB97M-V/def2-TZVPD" homo_ev=-3.23 total_charge=-1 fmax_ha_per_bohr=0.0073 gap_ev=5.16
Rb 0.414 0.011 -0.257 -0.06 -0.14 0.04
C 1.858 -4.233 1.097 0.01 -0.04 0.06
C 3.150 -3.816 0.391 0.02 -0.02 -0.01
C 3.213 -2.390 -0.174 0.01 -0.03 -0.06
N 2.770 -1.432 0.808 0.00 0.15 0.00
C 3.547 -0.520 1.282 -0.04 -0.12 0.01
C 4.872 -0.178 0.815 0.03 -0.05 -0.02
C 5.942 0.333 1.519 0.05 0.01 -0.01
C 6.066 0.677 2.864 0.02 0.00 -0.05
C 5.020 0.650 3.795 -0.03 0.01 0.08
C 3.670 0.483 3.618 0.03 0.02 0.05
C 2.926 0.310 2.388 -0.02 0.03 0.02
N 1.725 0.722 2.170 0.09 -0.10 0.05
C 1.022 1.485 3.175 0.03 0.12 -0.04
C -0.020 0.666 3.951 -0.01 0.03 0.07
C -1.371 0.501 3.235 -0.05 0.00 0.03
N -1.357 -0.493 2.184 0.08 -0.09 0.03
C -1.686 -1.709 2.478 -0.02 0.08 -0.01
C -2.031 -2.195 3.792 -0.01 0.00 0.08
C -2.928 -3.178 4.141 0.01 0.02 0.05
C -3.732 -3.999 3.347 0.00 -0.01 -0.03
C -3.618 -4.124 1.961 -0.05 -0.02 0.01
C -2.689 -3.600 1.091 0.00 -0.05 -0.03
C -1.585 -2.705 1.346 0.09 -0.03 -0.04
N -0.520 -2.577 0.635 -0.07 0.08 0.04
C -0.164 -3.530 -0.385 -0.04 0.02 -0.10
C 0.678 -4.661 0.219 -0.01 -0.05 -0.02
H 1.538 -3.429 1.760 0.00 0.00 -0.02
H 2.105 -5.090 1.733 0.00 0.02 0.00
H 3.374 -4.522 -0.420 0.01 0.01 0.00
H 3.970 -3.908 1.112 -0.01 0.02 0.01
H 2.551 -2.320 -1.047 -0.01 -0.03 0.00
H 4.233 -2.225 -0.547 0.00 -0.03 0.02
H 5.080 -0.445 -0.215 -0.01 -0.01 0.00
H 6.851 0.445 0.929 0.00 0.01 0.01
H 7.050 0.950 3.224 0.00 0.00 -0.01
H 5.318 0.832 4.826 0.00 -0.01 -0.01
H 3.065 0.541 4.515 -0.01 0.00 0.00
H 0.473 2.273 2.648 0.02 0.05 0.02
H 1.701 1.988 3.876 -0.01 -0.05 0.02
H -0.209 1.181 4.901 -0.01 0.00 -0.01
H 0.392 -0.317 4.196 0.01 0.00 -0.02
H -1.623 1.465 2.774 0.01 0.00 0.01
H -2.148 0.288 3.984 0.01 0.00 -0.01
H -1.567 -1.668 4.617 0.00 0.01 -0.01
H -3.061 -3.298 5.215 -0.01 -0.01 -0.01
H -4.468 -4.616 3.848 0.00 0.00 0.00
H -4.339 -4.795 1.495 0.00 0.00 0.02
H -2.757 -3.955 0.067 0.02 0.01 0.00
H 0.417 -2.998 -1.151 0.03 -0.02 0.02
H -1.016 -3.977 -0.917 0.01 0.01 0.02
H 1.026 -5.322 -0.586 0.01 0.01 -0.01
H -0.001 -5.256 0.838 0.00 0.01 0.00
N -4.418 -0.873 -0.563 0.08 -0.01 0.01
C -3.075 -0.702 -0.450 -0.08 -0.12 0.02
N -2.248 -0.689 -1.434 -0.13 0.20 0.02
C -2.729 -0.850 -2.720 0.12 -0.08 -0.16
N -1.941 -0.857 -3.739 0.08 0.08 0.16
N -0.623 -0.573 -3.403 -0.07 -0.26 -0.25
C 0.220 -1.387 -3.891 -0.15 0.08 0.02
C 1.663 -1.212 -3.659 0.16 -0.01 0.03
C 2.572 -2.039 -4.315 -0.04 0.05 0.02
C 3.927 -1.842 -4.103 0.01 0.00 0.01
C 4.326 -0.829 -3.250 0.00 0.02 0.00
C 3.345 -0.068 -2.624 0.02 0.01 0.04
N 2.047 -0.256 -2.810 0.07 0.10 -0.10
C -4.169 -1.072 -2.924 -0.10 0.00 -0.04
C -4.733 -1.277 -4.184 0.01 0.01 0.05
C -6.088 -1.503 -4.318 -0.02 0.00 -0.03
C -6.904 -1.533 -3.187 0.00 0.00 0.05
C -6.368 -1.331 -1.932 0.02 0.00 -0.02
C -4.998 -1.097 -1.801 0.03 0.00 0.00
........

• Solution:
2